
106 Wild and Scenic Film Festival

Dalton Puffer


To begin: the view of nature as something that is separate or before humans is deeply ideological and romanticized.

Tim Morton’s book, The Ecological Thought, clarifies this concept. Our species has, through all our advancements—advancements that stem from evolution recognizable in in all other species—brought us to that conclusion of nature as some “weird other”. Morton says in the introduction to his piece that we’ve estranged ourselves and lead ourselves to believe that we’ve killed nature, creating a “ghost of ‘Nature,’ a brand new entity dressed up like a relic from a past age, haunted in the modernity in which it was born.”

Through are ideology of nature as a relic, we begin to romanticize it. We look to the trees in the woods, the untouched hills, the sauntering deer under the canopy, as something to be glorified and mesmerizing—something to be framed. And we do indeed frame it. That framing places nature vulnerable to capitalism. Everyone profits of the fascination of a picturesque wilderness, whether it be monetarily or emotionally. Look at L.L. Bean, Patagonia, or The North Face’s means of income as an example. Then, think of yourself: do you ever go outdoors to feel better? Catch a breath of fresh air?

This current understanding of “nature” or “wilderness” is heavily interpellated onto people through, as Morton calls, “bambified” versions of that so called “other.”

Recently the Office of Environmental Sustainability at Plymouth State held an event at the Flying Monkey titled the Wild and Scenic Film Festival. An event which perpetuated the “others” bambification. It was two hours of clips that were to promote the beauty of what we see as “nature” or “wilderness” in hopes to recover that “separate entity” in a time where a well-proven Climate Change is rapidly encroaching. Even by looking at the events title we can already see the developed idea of separation (wild) and beauty (scenic).

The videos showed to the audience were of people living through sustainable means, working in various sustainable fields of science, or enacting the romanticized ideology of nature through enjoying and making picturesque that “other”—nature. It showed us bright and optimistic images of the world.

The first clip we saw was of a woman who journeyed out into Moab National Park and collected soundbites with objects she found there: breaking twigs, dropping rocks, birds chirping, the wind through grass. She said that this is to show people the beauty of the world. She hopes that, by romanticizing it to others, it will convince them to rescue it. Whereas she may not be wrong, it is still painting a pretty picture that people want to see.

Yet nature is not this purely beautiful place. There is a dark ecology at play in the world. Violent storms, tidal waves, angler fish tricking prey in the deep depths, grizzly bears eating attacking humans, poisonous snakes. This is the real nature, the one that we choose to ignore. Why, even when presented with these scary subjects, do we only remember nature as pure beauty?

The world—the nature (the real one, the one that includes us)—is not as picturesque as we make it out to be. Events such as this make it to be a magical realm of our own fantasy. It is as Morton says we want it to be, a “mirror image” where the “grass is always greener on the other side.” Even in the events clip about biomimicry, the idea that we should copy more what other creatures do, there is to be found a large contradiction. They only promote the good things they found of animals in nature, things such as how some animals bodies reflect light through their exterior structures to produce colors, as opposed to creating highly concentrated elements which are often volatile like we people do. Though many animals, such as the Spiny Spider or Angler Fish, use those exterior structure colors to lure in a tasty meal.

### Inserted here: crystal structures
┌──
Entry 1:
Structure and calculated XRD peak list of ErTm3O (the PBE geometry in Alexandria; Cu Kα (weighted mean of Kα1 and Kα2)).
No peak broadening, texture or thermal motion is included.

Peak list (7 most intense, 2θ = 15–90°, in order of falling intensity)
(hkl), d_spacing, I/Imax
1 1 1, 2.805, 100
2 0 0, 2.429, 56
3 1 1, 1.465, 43
2 2 0, 1.718, 39
3 3 1, 1.115, 18
2 2 2, 1.402, 13
4 0 0, 1.215, 6

Crystal structure
```
data_ErTm3O
_symmetry_space_group_name_H-M 'P m -3 m'
_symmetry_Int_Tables_number 221
_symmetry_space_group_name_Hall '-P 4 2 3'
_cell_length_a 4.8583
_cell_length_b 4.8583
_cell_length_c 4.8583
_cell_angle_alpha 90.00
_cell_angle_beta 90.00
_cell_angle_gamma 90.00
loop_
_atom_site_label
_atom_site_type_symbol
_atom_site_fract_x
_atom_site_fract_y
_atom_site_fract_z
Er1 Er 0.0000 0.0000 0.0000
Tm1 Tm 0.0000 0.5000 0.5000
O1 O 0.5000 0.5000 0.5000
```

Entry 2:
Structure and calculated XRD peak list of ErTm2UO8 (the PBE geometry in Alexandria; Cu Kα (weighted mean of Kα1 and Kα2)).
No peak broadening, texture or thermal motion is included.

Peak list (10 most intense, 2θ = 15–90°, in order of falling intensity)
(hkl), d_spacing, I/Imax
1 1 0, 3.091, 100
0 1 2, 3.042, 96
1 2 2, 1.872, 65
1 0 2, 2.672, 45
2 1 2, 1.619, 31
1 1 4, 1.598, 29
0 2 0, 2.625, 22
1 3 4, 1.211, 18
2 0 0, 1.912, 18
0 0 4, 1.866, 16

Crystal structure
```
data_ErTm2UO8
_symmetry_space_group_name_H-M 'P m m m'
_symmetry_Int_Tables_number 47
_cell_length_a 3.8249
_cell_length_b 5.2498
_cell_length_c 7.4659
_cell_angle_alpha 90.00
_cell_angle_beta 90.00
_cell_angle_gamma 90.00
loop_
_symmetry_equiv_pos_as_xyz
'x,y,z'
'-x,-y,-z'
'-x,-y,z'
'x,y,-z'
'x,-y,-z'
'-x,y,z'
'-x,y,-z'
'x,-y,z'
loop_
_atom_site_label
_atom_site_type_symbol
_atom_site_fract_x
_atom_site_fract_y
_atom_site_fract_z
Er1 Er 0.0000 0.0000 0.0000
Tm1 Tm 0.5000 0.5000 0.2483
U1 U 0.0000 0.0000 0.5000
O1 O 0.0000 0.2439 0.2686
O2 O 0.5000 0.2362 0.5000
O3 O 0.5000 0.2519 0.0000
```

Entry 3:
Structure and calculated XRD peak list of Er2TmUO8 (the PBE geometry in Alexandria; Cu Kα (weighted mean of Kα1 and Kα2)).
No peak broadening, texture or thermal motion is included.

Peak list (10 most intense, 2θ = 15–90°, in order of falling intensity)
(hkl), d_spacing, I/Imax
1 1 0, 3.096, 100
0 1 2, 3.048, 96
1 2 2, 1.876, 65
1 0 2, 2.673, 45
2 1 2, 1.620, 31
1 1 4, 1.600, 29
0 2 0, 2.634, 22
2 0 0, 1.913, 17
0 0 4, 1.868, 16
1 3 0, 1.596, 15

Crystal structure
```
data_Er2TmUO8
_symmetry_space_group_name_H-M 'P m m m'
_symmetry_Int_Tables_number 47
_cell_length_a 3.8266
_cell_length_b 5.2684
_cell_length_c 7.4731
_cell_angle_alpha 90.00
_cell_angle_beta 90.00
_cell_angle_gamma 90.00
loop_
_symmetry_equiv_pos_as_xyz
'x,y,z'
'-x,-y,-z'
'-x,-y,z'
'x,y,-z'
'x,-y,-z'
'-x,y,z'
'-x,y,-z'
'x,-y,z'
loop_
_atom_site_label
_atom_site_type_symbol
_atom_site_fract_x
_atom_site_fract_y
_atom_site_fract_z
Er1 Er 0.0000 0.0000 0.2478
Tm1 Tm 0.5000 0.5000 0.0000
U1 U 0.5000 0.5000 0.5000
O1 O 0.0000 0.2514 0.0000
└──
### End of the crystal structures

Nature is not as pretty as you want it to be, and it does not exclude you.